How Detroit Became Starnesville from Ayn Rand’s Atlas Shrugged
By Zachary Huffman
Quantum chemistry results from another source follow >
a.
Here is one molecule with the formula C3H4N2 from OMol25. Energies are from wB97M-V/def2-TZVPD.

Geometry as XYZ:
```
9
Properties=species:S:1:pos:R:3
C 0.72375 0.81064 0.05952
C 1.03616 -0.56307 -0.03563
N -0.03032 -1.35276 -0.04602
N -1.04858 -0.47796 0.06224
C -0.59938 0.90441 0.27614
H 1.39163 1.64761 0.04739
H 2.02064 -1.00614 -0.10786
H -1.97392 -0.85986 0.26996
H -1.51999 0.89712 -0.52575
```

Values from the calculation:
HOMO level = -9.71 eV
Structure (SMILES) = c1cn[nH]c1

b.
Here is one molecule with the formula C3H4N2 from OMol25. Energies are from wB97M-V/def2-TZVPD.

Geometry as XYZ:
```
9
Properties=species:S:1:pos:R:3
C 1.15060 -0.62499 0.04890
C 0.93337 0.74659 0.26746
N -0.54351 0.73628 0.18782
C -0.98492 -0.50375 -0.06134
N 0.01371 -1.36035 -0.10937
H 2.10731 -1.14723 0.02980
H 0.42464 1.34678 -0.63564
H -1.07177 1.54260 0.49388
H -2.02942 -0.73594 -0.22151
```

Values from the calculation:
HOMO level = -9.03 eV
Structure (SMILES) = c1c[nH]cn1

Name the least stable of them. b.

a.
Here is a 2-piece molecular cluster, C3H4N2 overall from OMol25. Energies are from wB97M-V/def2-TZVPD.

Geometry as XYZ:
```
9
Properties=species:S:1:pos:R:3
C -1.36732 0.58060 -0.19390
C -1.25076 -0.83965 0.00296
N -1.15655 -1.96631 0.16915
H -2.02464 1.00733 0.56272
H -1.77052 0.78412 -1.18446
H -0.38162 1.03163 -0.11187
C 2.67234 -0.21130 0.26941
N 1.81462 -0.29985 -0.47272
H 3.46445 -0.08657 0.95871
```

Values from the calculation:
HOMO level = -11.40 eV
Structure (SMILES) = CC#N.C#N

b.
Here is one molecule with the formula C3H4N2 from OMol25. Energies are from wB97M-V/def2-TZVPD.

Geometry as XYZ:
```
9
Properties=species:S:1:pos:R:3
H -2.42789 -1.13393 0.85518
N -2.03578 -0.97060 -0.07073
C -0.84108 -0.63975 -0.14105
C 0.25677 -0.24879 0.66918
C 0.99436 0.51423 -0.17110
N 2.03820 0.96596 -0.61530
H -0.42055 0.01051 -1.13680
H 0.33754 -0.32823 1.74278
H 2.09843 1.83059 -1.13215
```

Values from the calculation:
HOMO level = -9.02 eV
Structure (SMILES) = [H]/N=C\C=C=N

Name the least stable of them. b.

a.
Here is C29H31CuN4SSb as an isolated structure from OMol25. Energies are from wB97M-V/def2-TZVPD.

Geometry as XYZ:
```
67
Properties=species:S:1:pos:R:3
Cu 0.15373 0.15026 0.28656
C -1.53358 -2.71990 -2.65870
C -0.77135 -1.75375 -1.80577
N -0.94750 -1.55259 -0.56280
N -1.79351 -2.19686 0.24506
C -1.68377 -1.97374 1.59038
N -2.57759 -2.60775 2.35849
S -0.51127 -0.98973 2.26273
C 0.36039 -0.97839 -2.37140
C 0.68879 -1.03379 -3.71760
C 1.82309 -0.37407 -4.16725
C 2.60311 0.31408 -3.25618
C 2.19997 0.34468 -1.92959
N 1.10724 -0.27602 -1.49375
H -2.35058 -3.18823 -2.11369
H -0.87011 -3.50731 -3.02092
H -1.95939 -2.21866 -3.52796
H -2.45013 -2.88215 -0.10164
H -3.24226 -3.27019 1.99470
H -2.49443 -2.49752 3.35380
H 0.06936 -1.58706 -4.40896
H 2.09073 -0.40710 -5.21460
H 3.50347 0.82757 -3.56175
H 2.77625 0.88822 -1.19069
C 1.00309 5.77963 1.62838
C -0.43557 5.53723 1.99628
C -1.11544 6.51811 2.71739
C -2.44192 6.36968 3.08909
On July 18, the city of Detroit declared that it had reached insolvency, and, with $11 billion in debt, filed for bankruptcy. Since the announcement, numerous pundits have penned postmortems attempting to explain Detroit’s decline, but Daniel Hannan has gotten closest to the essence of the issue.
In his piece for the Telegraph, Hannan insightfully compares the similarities between the downfall of Detroit and that of Starnesville, a town in Ayn Rand’s novel, Atlas Shrugged. Quoting from the Observer, Hannan relayed of modern Detroit:
What isn’t dumped is stolen. Factories and homes have largely been stripped of anything of value, so thieves now target cars’ catalytic converters. Illiteracy runs at around 47%; half the adults in some areas are unemployed. In many neighborhoods, the only sign of activity is a slow trudge to the liquor store.
This decayed landscape is eerily similar to the description of Starnesville provided by Ayn Rand fifty-six years ago. Hannan provides a comparative excerpt from Atlas Shrugged:
A few houses still stood within the skeleton of what had once been an industrial town. Everything that could move, had moved away; but some human beings had remained. The empty structures were vertical rubble; they had been eaten, not by time, but by men . . . The inhabited houses were scattered at random among the ruins; the smoke of their chimneys was the only movement visible in town . . . Beyond the town, on a distant hill, stood the factory of the Twentieth Century Motor Company. Its walls, roof lines and smokestacks looked trim, impregnable like a fortress. It would have seemed intact but for a silver water tank: the water tank was tipped sidewise.
Although the town of Starnesville is fictional, it serves as a warning of the destruction wrought by a particular ideology and the regulations and wealth-redistribution schemes it demands or condones. Unfortunately, like so many people and so many governments, those of Detroit did not heed Rand’s warning. Nor does Hannan explicitly name the ideology at play. . . .
Let’s look at some telling facts and name that ideology.
When Atlas Shrugged was published in 1957, Detroit was a far cry from the Starnesville it is today. In fact, “Motor City,” as it was called, was the heart of the auto manufacturing industry and one of America’s iconic boomtowns. During the late 1950s and early 1960s, the city boasted one of the highest per capita income rankings of metropolitan areas in the United States. At that time, Detroit and its nearly two million residents seemed to be headed down a path of ever-increasing prosperity. Today, however, the city has one of the lowest per capita income levels compared to other large metropolitan areas in the United States, and its population has shrunk to barely seven hundred thousand residents. In some areas of the city, entire neighborhoods have been abandoned, and dozens of factories that used to exemplify Detroit’s productivity and prosperity now sit empty and dilapidated.
As Hannan points out, Detroit’s collapse did not occur overnight. Like Starnesville, Motor City collapsed as a result of certain policies enacted by local, state, and national lawmakers—and supported by citizens and voters—over the course of several decades.
One key factor in Detroit’s collapse is decades of deference to unions. Of the city's $11 billion in outstanding debt, $9 billion is union related, mostly in the form of pensions, Hannan notes. Over the course of fifty years, Detroit’s cartel-like labor unions worked in tandem with the city, state, and federal government to gain control over private-sector employers. (Public-sector unions did the same with their government counterparts.) As union members lobbied government to coercively increase their salaries, pensions, and power, they stifled innovation and entrepreneurship, and Detroit became an increasingly expensive and difficult city in which to do business. So, unsurprisingly, businesses left for greener pastures.
Another factor in Detroit’s decline was its substantial dependence on federal subsidies and bailouts—the most recent example being the bailout of General Motors in 2009. The auto industry's reliance on government handouts caused it to neglect the importance of innovation and value creation. Why produce competitively when you receive lots of money for being important to the local economy and resting on your laurels?
Detroit also enacted a host of damaging tax policies in an attempt to finance the city’s big-spending agenda. During nearly six decades of decline, the city’s combination of high property taxes, income taxes, and corporate taxes drove out many of Detroit’s productive citizens and businesses, leaving a shrinking tax base to foot the ever-increasing bill.
Detroit further assaulted its citizens and businesses through the use of eminent domain laws. In one egregious instance in 1981, the city forced more than four thousand individuals from their homes and numerous businesses from their chosen locations in order to make way for a new General Motors factory.
The foregoing is by no means an exhaustive list of the policies that caused the downfall of Detroit, but it is enough to see a common denominator. What killed Detroit is collectivism—the notion that the collective (i.e., the “community” or the “union” or the “city” or the like) is the unit of moral and political concern, and thus that individuals and business have a moral duty to serve the collective. Whether it was to meet the demands of the unions, or to provide for the financial needs of crucial companies that (allegedly) couldn’t make it on their own, or to support the city’s “greater good”—individuals and businesses were forced to act against their own best judgment and thus driven from the city or throttled if they stayed.
Motor City became Starnesville for the same reason Starnesville collapsed: because collectivism and its attendant policies violated the rights of individuals and businesses and thus caused economic destruction upon economic destruction upon economic destruction. This is what collectivism does.
Unfortunately, Ayn Rand’s fictional Starnesville didn’t convince enough people of this universal truth in time to save Detroit. Hopefully, the downfall of Detroit will incentivize enough people to think about the cause of the problem, identify it as collectivism, and reverse this trend before another major U.S. city becomes another Starnesville.